Christmas holidays are positioned as a happy time of year when everyone is supposed to be cheerful and enjoying family time. Perhaps the reason why this tradition is so enduring is that it has so much commercial significance. Christmas certainly stimulates the economy, so the story of giving and family is perpetuated year after year. The script doesn’t say anything about all the Christmas stress that these rituals entail.

• Inserted here: data records:
- - -
Entry 1:
DFT (PBE-GGA) results for a relaxed Cs2NpTlBr8 crystal.

Cell and atoms, written as POSCAR:
```
Cs2NpTlBr8
1.0
-6.2872 -4.3871 -0.2130
4.3584 -5.5178 2.7431
-2.3696 2.9256 9.6637
Tl Np Br Cs
1 1 8 2
Cartesian
-1.1848 1.4628 4.8318
0.0000 0.0000 0.0000
-1.2590 -2.3783 0.4185
-2.2753 -5.6246 6.7166
-2.0231 -1.3547 5.4772
2.2936 -4.2153 3.9449
0.8197 -2.4063 9.9567
-3.0393 -4.6010 11.7753
-6.5920 -2.7640 8.2489
-5.1181 -4.5729 2.2371
-1.5420 -4.2442 3.6217
-2.7564 -2.7351 8.5721
```

formation energy without anion corrections: -1.2545 eV per atom
final energy: -3.79 eV/atom



Entry 2:
DFT (PBE-GGA) results for a relaxed Cs3NpTl2Br9 crystal.

Cell and atoms, written as POSCAR:
```
Cs3NpTl2Br9
1.0
-5.1393 7.0096 -0.6799
1.6198 -4.9148 -7.0164
-8.4487 -5.9775 2.2367
Br Tl Cs Np
9 2 3 1
Cartesian
-1.7598 1.0474 -3.8482
-3.2051 -2.4870 -1.4130
-9.6607 1.3275 -0.1588
-2.3076 -5.2103 -5.3008
-5.1553 -1.3263 -5.6776
-6.8130 -2.5565 0.2180
-8.7632 -1.3958 -4.0466
-2.5697 3.5048 -0.3400
0.8099 -2.4574 -3.5082
-9.8926 -1.9222 -0.9373
-2.0757 -1.9606 -4.5224
-6.8807 -5.3601 -3.2503
0.0000 0.0000 0.0000
-5.0876 1.4773 -2.2093
-4.2244 -2.9888 1.1184
```

formation energy without anion corrections: -1.3756 eV per atom
final energy: -3.73 eV/atom



Entry 3:
DFT (PBE-GGA) results for a relaxed CsNpTl2Br6 crystal.

Cell and atoms, written as POSCAR:
```
CsNpTl2Br6
1.0
-1.6819 -3.5353 6.9983
-1.7100 -7.8265 -4.3646
11.0147 -3.3121 1.6235
Np Tl Br Cs
2 4 12 2
Cartesian
4.6664 -3.4237 4.3109
-0.8550 -3.9132 -2.1823
6.1573 -6.2824 7.8317
1.4654 -8.3914 -3.5744
6.8037 -8.7402 2.4513
0.8191 -5.9336 1.8060
4.6225 -3.4396 1.4182
5.2243 -6.2772 4.5117
7.7121 -6.1610 0.5884
1.8428 -4.0804 4.4983
-1.3381 -6.3094 -0.6347
3.0003 -11.2342 2.8391
7.0774 -11.7631 4.0884
2.3985 -8.3966 -0.2544
8.9609 -8.3644 4.8920
5.7800 -10.5933 -0.2410
0.5454 -2.9107 0.1689
-0.0894 -8.5128 3.6689
4.6524 -5.5693 -1.3705
-0.8410 -1.7676 3.4992
```

formation energy without anion corrections: -1.2530 eV per atom
final energy: -4.11 eV/atom

~~~~~

Below is a crystal of LaMg2B relaxed with PBEsol, with properties calculated at the SCAN level.

POSCAR file:
- - -
• Back to the page:

This is not the full story, as you well know. For so many people Christmas is not a nice time of year at all. For those who have lost their families and are grieving or those who suffer in the company of their family, Christmas can be a lonely and depressing time of year.

Opportunities for growth

No matter what your situation though, I think that Christmas provides an opportunity to grow stronger, to learn more about yourself and hopefully to become more resilient. If you are spending time with family, it can bring up or into awareness all sorts of old patterns of behaviour or relationships. If you are open and conscious of observing the patterns, I think you can learn a lot about what influenced your development as a person.

Becoming aware of the factors that influence your psychology in the present can bring you one step closer to repairing your wounds, taking action and rewiring your brain so that these factors no longer hold you back.

The important thing to note is that while you always have the opportunity to grow and to learn from observing what patterns of behaviour may have shaped you as a human individual, it is always your responsibility to make changes.

It isn’t helpful and won’t achieve anything by ‘blaming’ the people who treated you in those ways or helped to shape your adult behaviours. It will not solve the problem and it will not help you to grow. Ultimately, I think it is up to you to take responsibility for making changes, even if these things were done ‘to’ you.

The good news is that change is definitely possible. You always have the opportunity to grow in a direction that is more fitting with the person you want to be. Always.

Mindfulness training in action

The work that you have done working on becoming more mindful this year can help you to stay balanced and not let family members aggravate you at Christmas time. It can help you to manage Christmas stress. The more you are able to ‘observe’ your feelings and thoughts in response to tricky family members, the more that you can let these thoughts and feelings wash over you and pass you by. The less they will bother you.

Mindfulness is important at every time of year, but especially at Christmas time when the pressure is on, for so many people. We all face our individual challenges with our families, but we can also learn strategies to learn from our family dynamics and get through Christmas calmly and contentedly. Beat the Christmas stress in effect.

Hope that no matter what you are doing this Christmas, that you enjoy your holiday and get the chance for some relaxation. If you need any support during this time, please call Lifeline on
13 11 14 in Australia.